Gary Montel has been working at Manchester College as an Alumni Administrator for over 20 years. He graduated from Manchester with a degree in accounting and has worked previously in the health care field. He and his wife Dee are spending weekends in Columbus, OH with son and daughter-in law and 3 month premature baby daughter. She is thriving and almost weighs 2 #. He promises that he will send some more photos one of these days. Until he does, we will use this one from the Manchester College website. Now we can see why Becky Meyers Naragon once said Gary won the award for the most improved from our 1961 Class days.
Oh, you have aged so well. We could only wish that all of us were so fortunate!
Saturday, March 26, 2011
Gary Montel keeps Manchester College Alumni running at full speed.
Friday, March 25, 2011
Misplaced molecular data
'''
Entry 1:
{
  "formula": "C4H18O4",
  "method": "ωB97M-V with the def2-TZVPD basis set",
  "e_above_lowest_kcal_mol": 0.0,
  "e_homo_ev": -10.74,
  "smiles": "CCCC.O.O.O.O",
  "total_charge": 0,
  "lumo_energy_ev": 0.6,
  "species": ["H", "C", "O", "H", "H", "H", "H", "H", "H", "O", "H", "H", "H", "H", "H", "O", "H", "H", "H", "C", "C", "H", "O", "H", "C", "H"],
  "xyz": [[2.21362, 2.44546, -1.05531], [1.01682, 0.77170, -0.32636], [-3.13981, -0.11716, 1.17308], [-1.64783, -0.31346, -1.71151], [0.45777, 0.25169, -2.37247], [0.46520, 2.58539, -1.33026], [1.59626, -1.99815, -0.58275], [-1.77945, 1.19389, -1.44933], [-0.04659, -1.76742, -0.91655], [-0.89912, -0.32536, 2.80567], [-3.78677, -0.78004, 1.14820], [1.00791, 2.89366, 0.24484], [-2.90802, -0.03367, 0.26554], [-1.70296, -0.24484, 2.25187], [1.80006, -2.13621, 2.75927], [-2.27521, 0.33889, -1.49005], [1.04134, -2.23795, -2.18515], [2.19849, 0.04552, -1.99400], [1.77285, 0.48041, 0.44111], [0.92333, -1.60210, -1.28954], [1.18554, 2.26597, -0.64044], [0.04595, 0.56058, 0.13035], [1.50882, -1.54516, 2.04167], [-0.93673, 0.47613, 3.32681], [1.15701, -0.10684, -1.57629], [0.73151, -1.10096, 2.33159]]
}


Entry 2:
{
  "formula": "C35H70BrN2O12S",
  "method": "ωB97M-V with the def2-TZVPD basis set",
  "e_homo_ev": -4.77,
  "total_charge": -1,
  "lumo_energy_ev": 1.7,
  "species": ["H", "O", "C", "H", "H", "H", "H", "H", "C", "O", "C", "C", "C", "O", "H", "C", "C", "H", "H", "C", "H", "H", "H", "H", "C", "H", "H", "C", "H", "C", "H", "C", "O", "H", "C", "C", "H", "C", "C", "H", "H", "C", "C", "O", "H", "C", "H", "H", "C", "C", "H", "H", "H", "H", "O", "H", "H", "H", "H", "H", "H", "H", "H", "O", "H", "H", "C", "S", "H", "C", "H", "H", "H", "Br", "H", "H", "O", "H", "H", "H", "C", "H", "H", "H", "C", "H", "H", "C", "O", "H", "H", "C", "H", "O", "C", "H", "C", "C", "H", "C", "C", "H", "H", "H", "H", "O", "H", "H", "N", "H", "H", "O", "H", "N", "H", "H", "C", "C", "H", "C", "H"],
'''
So much for the molecular data
News from Lois Ulrey Jones
Lois and Fred returned from a vacation in Grand Cayman Islands which turned into a 2 week trip after Fred was diagnosed with blood clots in his leg. They remind us that for long plane trips, get up and walk around or pay the consequences. Lois shared these photos.
The child is Elena Diaz, my daughter Sarah's 3 year old daughter, taken during our 1 week ocean vacation July 2010 at Bethany Beach.
Lois and Joyce at the all school reunion at MHS in June 2010 Lois and Fred at Fred’s 50th Class Reunion last summer.
More news from the frozen tundra
Hugh has updated us on his latest from the cold north of Ontario. The temperatures must have finally been right as the sugaring looks to be in full swing.
Hugh and Carol on the left and their neighbors on the right.
Gathering the sap.
Loading the sap to take to the sugar shack featured below.
The long night’s boil to make that fabulous maple syrup.
Filtering the finished product.
Now where are the pancakes!
Tuesday, March 8, 2011
Max Hammonds and Cari Jo share photos
It would come as no surprise to most of our classmates that Max has led quite a varied life since he left Manchester High School in 1961. The photos they are sharing give just a little hint of all they have been involved in over the years.
This is way too serious, Max. This was the author photo used for Max’s latest book: The Indomitable Gertrude Green, a book about a nurse in China in 1936-1941.
Max and Cari Jo with a Greek food booth.
Max is still in the drama business—acting and writing and probably singing.
Monday, March 7, 2011
Is There Any Other Reason to Spend Part of the Winter in Florida?
Hugh Russell shared this photo with us this week. While we have had our share of snow in North Carolina, we have nothing like this and won’t have that much more this year. They closed the ski slopes at the top of our mountain this week. They had over 100 days of skiing this year which was a great year for them.